39 adjectives to describe theorist

But we need not war with hasty vulgarisateurs and headlong theorists.

This is not a mere theorist or dreamer talking, says Burton Roscoe in commenting on Admiral Scott's statements; it is the one man in England most supremely versed in naval tactics, the man to whom all nations owe the present effectiveness of the broadside of eight, twelve and fourteen inch guns and the perfection in sighting long range guns.

Taking a very different view, the extreme fiat-theorists assert that the government has unlimited power to maintain the value of paper money by conferring upon it the legal-tender quality.

As the critical theorists believed that the poets were inspired, they endeavored less to teach men to be poets than to point out the excellences which the poets had attained.

The impractical theorist coming into an old plant will start in at once to rearrange the order of things irrespective of both the group habit-action and the habit-action of each man.

At one time, his mind was fixed on Mexico,not with the licentious dreams that excited the ragged Condottieri who followed the fated footsteps of the "gray-eyed man of Destiny," in the wild hope of plunder and power,nor with the vague reverie in which fanatical theorists construct impossible Utopias on the absurd framework of Icarias or Phalansteries.

" It was not merely aristocratic prejudice; it was a wise caution to bid his countrymen pause before they adopted from foreign theorists a form of government so new and untried, and risked for the sake of an experiment the whole future of Prussia.

And how can a needless "auxiliary" be "understood," on the principle of equivalence, where, by awkwardly changing a mood or tense, it only helps some grammatical theorist to convert good English into bad, or to pervert a text?

"If I were you, Howells, I'd take this hairy old theorist up as a suspicious character.

Consequently, although hedonist theorists have been anxious to establish katharsis on a purely aesthetic foundation, it seems that the theory has inescapable moral implications.

Viewed from the very strict standpoint that all Base Ball games should be played without mistake or blunder this world's series may be said to have been inartistic, but it is only the hypercritical theorist who would take such a cold-blooded view of the series.

It was not a work for politicians, novices, or inexperienced theorists, but for trained statesmen and jurists, who were conversant with the fundamental principles of international law, with the usages of nations in their intercourse with one another, and with the successes and failures of previous experiments in international association.

The piece is interrupted by data records:
Here is BaLaTiCrO6 after structural relaxation from the Materials Project database. Energies are from PBE+U.

Calculated values
Crystal system: orthorhombic
Formation enthalpy at 0 K in eV per atom: -3.297
Energy above the most stable polymorph in this dataset in meV/atom: 0
Total magnetization in μB per atom: 0.30
SG: Pmma, No. 51

Structure (POSCAR):
```
BaLaTiCrO6
1.0
3.984 0.000 0.000
0.000 5.657 0.000
0.000 0.000 22.442
Ba O La Cr Ti
4 24 4 4 4
Direct
0.000 0.250 0.192
0.000 0.250 0.936
0.000 0.750 0.064
0.000 0.750 0.808
0.000 0.250 0.805
0.500 0.000 0.500
0.500 0.500 0.500
0.500 0.500 0.000
0.500 0.499 0.128
0.500 0.000 0.000
0.500 0.986 0.256
0.000 0.750 0.677
0.000 0.250 0.564
0.500 0.999 0.872
0.000 0.750 0.195
0.500 0.514 0.256
0.500 0.500 0.623
0.500 0.000 0.623
0.000 0.250 0.323
0.500 0.501 0.872
0.500 0.014 0.744
0.500 0.001 0.128
0.000 0.250 0.064
0.500 0.486 0.744
0.500 0.500 0.377
0.000 0.750 0.436
0.000 0.750 0.936
0.500 0.000 0.377
0.000 0.750 0.563
0.000 0.250 0.681
0.000 0.750 0.319
0.000 0.250 0.437
0.500 0.750 0.684
0.500 0.750 0.439
0.500 0.250 0.316
0.500 0.250 0.561
0.500 0.250 0.064
0.500 0.750 0.936
0.500 0.750 0.193
0.500 0.250 0.807
```



Here is CaVF6 after structural relaxation from the Materials Project database. Energies are from PBE+U.

Calculated values
Crystal system: trigonal
Formation enthalpy at 0 K in eV per atom: -3.461
SG: R-3, No. 148

Structure (POSCAR):
```
CaVF6
1.0
5.066 -2.805 0.000
5.066 2.805 0.000
3.513 0.000 4.603
Ca V F
1 1 6
Direct
0.500 0.500 0.500
0.000 0.000 0.000
0.685 0.866 0.222
0.315 0.134 0.778
0.866 0.222 0.685
0.778 0.315 0.134
0.222 0.685 0.866
0.134 0.778 0.315
```



Here is BaVSi2O7 after structural relaxation from the Materials Project database. Energies are from PBE+U.

Calculated values
Crystal system: orthorhombic
Formation enthalpy at 0 K in eV per atom: -3.129
Energy above the most stable polymorph in this dataset in meV/atom: 0
Total magnetization in μB per atom: 0.09
SG: Ama2, No. 40

Structure (POSCAR):
```
BaVSi2O7
1.0
0.000 0.000 5.427
7.190 0.000 0.000
0.000 7.751 -2.714
O Si V Ba
14 4 2 2
Direct
0.643 0.250 0.260
0.411 0.938 0.292
0.613 0.439 0.702
0.998 0.750 0.001
0.383 0.750 0.740
0.517 0.500 0.000
0.911 0.939 0.298
0.119 0.438 0.708
0.411 0.562 0.292
0.613 0.061 0.702
0.997 0.250 0.999
0.517 0.000 0.000
0.911 0.561 0.298
0.119 0.062 0.708
0.618 0.024 0.207
0.411 0.524 0.793
0.618 0.476 0.207
0.411 0.976 0.793
0.905 0.250 0.788
0.117 0.750 0.212
0.223 0.250 0.413
0.810 0.750 0.587
```

I would rather agree with Grim than argue with any inky theorist on earth, having seen too many theories upset.

Sir Henry Maine would surely have done better service in this grave and difficult discussion, if he had dealt with views which he mistrusts, as they are really held and expressed by sane theorists, and not by insane theorists out of sight.

This theory of the state led later theorists unconsciously to follow the lead of Christianity, which regarded the church as supreme in every department of life, and so induced Muhammedanism to adopt views of life and social order which are now styled mediaeval.

Mathematical theorists tell us that the only way in which the right and left sides of a solid body can be changed is by taking that body clean out of space as we know it,taking it out of ordinary existence, that is, and turning it somewhere outside space.

Few reforms have been conceived in a more judicious and more moderate spirit; few have been so carefully limited to the removal of real and proved abuses, and the prevention of their recurrence, while avoiding any concessions to the insidious demands of revolutionists, or the ill-regulated fancies of metaphysical theorists.

Everyone who gives himself to scientific reflection must postulate that knowledge is possible, and the demand of the noëtical theorists of the day for a philosophy absolutely without assumptions is quite incapable of fulfillment.

Furthermore it should be protected from impractical promoters, impractical managers and obstructive theorists.

A good many pacific theorists, no doubt, have not the experience and the imagination which would enable them to pass a useful judgement, or to make a valuable suggestion, on the affairs of nations.

He has accordingly mentioned it in several different places of his works, and not always with that regard to consistency which becomes a precise theorist.

"And how often has the wisdom of the schools, the philosophy of the profoundest theorists, been overthrown by the simple demonstrations of practical facts?

It was agitated by the principles of the Levellers, tending to reduce all to an equality; by the doctrines of the Fifth-monarchy men, subversive of civil government; by religious theorists, the pretended champions of liberty of conscience, who condemned an established ministry as Babylonish and antichristian; [Sidenote a: A.D. 1654.

His narrowness of imagination, his lack of general ideas, has been the despair of the Socialist and of every sort of revolutionary theorist.

Sir Henry Maine would surely have done better service in this grave and difficult discussion, if he had dealt with views which he mistrusts, as they are really held and expressed by sane theorists, and not by insane theorists out of sight.

VASP calculation (GGA-PBE) on an optimized crystal structure of K2NaYCl6.

Properties
The formation energy comes out at -2424 meV per atom. Its energy is -4.17 eV/atom. As for the crystal system: cubic.

a = 10.732 Å, b = 10.732 Å, c = 10.732 Å
α = 90.00°, β = 90.00°, γ = 90.00°
Space group Fm-3m (No. 225)
One atom of each set of equivalent atoms:
K1 0.250 0.250 0.250 (multiplicity 8)
Na1 0.000 0.000 0.000 (multiplicity 4)
Y1 0.000 0.000 0.500 (multiplicity 4)
Cl1 0.000 0.000 0.255 (multiplicity 24)


VASP calculation (GGA-PBE) on an optimized crystal structure of KNbCl6.

Properties
The largest piezoelectric modulus is 0.48 C/m2. The formation energy comes out at -1895 meV per atom. For the energy relative to the lowest polymorph listed for this composition, the calculation gives 0.0000 eV/atom. Its energy is -4.22 eV/atom. As for the crystal system: monoclinic.

a = 7.339 Å, b = 10.349 Å, c = 7.365 Å
α = 90.00°, β = 90.03°, γ = 90.00°
Space group P2_1 (No. 4)
One atom of each set of equivalent atoms:
K1 0.244 0.000 0.315 (multiplicity 2)
Nb1 0.253 0.276 0.763 (multiplicity 2)
Cl1 0.019 0.276 0.984 (multiplicity 2)
Cl2 0.024 0.273 0.522 (multiplicity 2)
Cl3 0.248 0.507 0.749 (multiplicity 2)
Cl4 0.252 0.045 0.753 (multiplicity 2)
Cl5 0.479 0.279 0.523 (multiplicity 2)
Cl6 0.482 0.276 0.987 (multiplicity 2)


VASP calculation (GGA-PBE) on an optimized crystal structure of KNb8Cl20.

Properties
The formation energy comes out at -1740 meV per atom. Its energy is -5.42 eV/atom. As for the crystal system: monoclinic.

a = 9.440 Å, b = 18.143 Å, c = 13.658 Å
α = 90.00°, β = 90.07°, γ = 90.00°
Space group Pm (No. 6)
One atom of each set of equivalent atoms:
K1 0.000 0.000 0.000 (multiplicity 1)
K2 0.000 0.000 0.490 (multiplicity 1)
K3 0.358 0.500 0.000 (multiplicity 1)
Nb1 0.032 0.279 0.137 (multiplicity 2)
Nb2 0.032 0.280 0.354 (multiplicity 2)
Nb3 0.060 0.500 0.744 (multiplicity 1)
Nb4 0.100 0.144 0.245 (multiplicity 2)
Nb5 0.259 0.357 0.246 (multiplicity 2)
Nb6 0.301 0.000 0.745 (multiplicity 1)
Nb7 0.326 0.222 0.137 (multiplicity 2)
Nb8 0.327 0.222 0.354 (multiplicity 2)
Nb9 0.516 0.082 0.636 (multiplicity 2)
Nb10 0.516 0.082 0.854 (multiplicity 2)
Nb11 0.622 0.500 0.744 (multiplicity 1)
Nb12 0.733 0.000 0.745 (multiplicity 1)
Nb13 0.842 0.417 0.635 (multiplicity 2)
Nb14 0.842 0.418 0.854 (multiplicity 2)
Cl1 0.015 0.000 0.745 (multiplicity 1)
Cl2 0.099 0.409 0.121 (multiplicity 2)
Cl3 0.100 0.405 0.620 (multiplicity 2)
Cl4 0.101 0.404 0.869 (multiplicity 2)
Cl5 0.101 0.409 0.370 (multiplicity 2)
Cl6 0.179 0.250 0.497 (multiplicity 2)
Cl7 0.179 0.250 0.993 (multiplicity 2)
Cl8 0.256 0.096 0.621 (multiplicity 2)
Cl9 0.256 0.096 0.869 (multiplicity 2)
Cl10 0.258 0.091 0.121 (multiplicity 2)
Cl11 0.259 0.091 0.369 (multiplicity 2)
Cl12 0.342 0.500 0.749 (multiplicity 1)
Cl13 0.366 0.500 0.241 (multiplicity 1)
Cl14 0.444 0.343 0.372 (multiplicity 2)
Cl15 0.446 0.343 0.119 (multiplicity 2)
Cl16 0.512 0.191 0.745 (multiplicity 2)

39 adjectives to describe  theorist